• Entries:
┌──
Computed, not measured: a molecular structure, C31H40AsAuN2O2PSSi, with ωB97M-V with the def2-TZVPD basis set.

Calculated values
- F_max: 0.471 eV/Å
- Relative energy (zero: lowest compared OMol25 entry of this formula, charge and spin): 28.4 kcal per mole
- Kohn-Sham gap: 6.06 eV
- DFT total energy: -4865.61918 hartree

Geometry as ORCA input:
```
! wB97M-V def2-TZVPD RIJCOSX def2/J DEFGRID3
* xyz 1 1
Au 0.327 0.652 0.299
O 4.693 -0.282 -1.550
C 3.599 -0.648 -1.192
O 2.435 -0.161 -1.559
C 3.248 -1.734 -0.187
P 1.444 -1.416 -0.206
C 1.006 -2.219 1.398
C 1.411 -1.508 2.531
C 1.249 -2.024 3.804
C 0.663 -3.271 3.970
C 0.267 -3.994 2.858
C 0.448 -3.481 1.579
C 0.744 -2.414 -1.541
C 1.463 -2.590 -2.726
C 0.987 -3.437 -3.713
C -0.207 -4.121 -3.532
C -0.932 -3.940 -2.365
C -0.469 -3.082 -1.378
H 3.721 -1.635 0.787
H 3.446 -2.745 -0.548
H 1.851 -0.521 2.423
H 1.571 -1.452 4.665
H 0.522 -3.678 4.963
H -0.183 -4.971 2.979
H 0.163 -4.091 0.735
H 2.387 -2.060 -2.898
H 1.555 -3.563 -4.625
H -0.571 -4.791 -4.299
H -1.866 -4.468 -2.223
H -1.059 -2.924 -0.488
S -0.998 2.589 1.163
C -0.774 3.864 0.059
N -1.228 5.090 0.427
C -1.158 6.204 -0.341
C -0.591 6.145 -1.575
C -0.107 4.902 -2.018
C -0.201 3.786 -1.227
H -1.653 5.156 1.344
H -1.574 7.102 0.091
H -0.532 7.030 -2.189
H 0.334 4.819 -3.003
H 0.138 2.823 -1.581
C -1.115 0.235 -2.755
Si -2.346 -0.071 -1.364
C -3.546 -1.389 -1.938
C -3.448 1.431 -1.137
N -1.434 -0.399 0.112
C -1.982 -0.933 1.282
C -1.585 -0.498 2.555
C -2.132 -1.036 3.708
C -3.104 -2.022 3.638
C -3.502 -2.473 2.389
C -2.945 -1.953 1.231
H -1.526 0.982 -3.442
H -0.950 -0.680 -3.328
H -0.123 0.578 -2.444
H -3.810 -1.146 -2.973
H -4.467 -1.364 -1.353
H -3.157 -2.403 -1.934
H -4.151 1.518 -1.970
H -2.893 2.364 -1.076
H -4.030 1.330 -0.217
H -0.818 0.263 2.649
H -1.794 -0.675 4.672
H -3.535 -2.437 4.539
H -4.249 -3.254 2.307
H -3.257 -2.349 0.276
C 2.207 3.646 1.483
As 2.376 2.027 0.424
C 3.130 2.763 -1.199
C 3.842 1.215 1.399
H 3.212 4.038 1.639
H 1.741 3.428 2.441
H 1.618 4.391 0.952
H 2.724 3.764 -1.337
H 2.907 2.122 -2.044
H 4.209 2.817 -1.068
H 3.734 1.494 2.446
H 4.786 1.595 1.013
H 3.843 0.136 1.316
*
```

* * * * *

Density functional theory data (ωB97M-V with the def2-TZVPD basis set) for a structure of composition C24H18BrNO5RhSTe in a non-equilibrium geometry.

For the LUMO energy (spin up / spin down), the calculation gives 0.80 / 1.20 eV. The HOMO-LUMO gap (spin up / spin down) is 5.815 / 6.208 eV. The calculation puts the energy at -128087.485 eV. For the energy above the lowest of the compared OMol25 structures with the same formula, charge and spin, the calculation gives 56.2 kcal/mol. Its net charge is -1.

XYZ file:
```
52
C24H18BrNO5RhSTe | the OMol25 dataset | ωB97M-V with the def2-TZVPD basis set
Rh -1.30 -0.12 -0.33
Br -3.17 -2.05 -0.10
C -1.72 -3.31 -0.37
C -1.83 -4.56 0.18
C -0.76 -5.45 0.05
C 0.35 -5.11 -0.66
C 0.45 -3.84 -1.28
C 1.57 -3.48 -2.05
C 1.65 -2.24 -2.63
C 0.64 -1.30 -2.42
C -0.46 -1.57 -1.62
C -0.58 -2.88 -1.09
H -2.72 -4.84 0.72
H -0.84 -6.42 0.52
H 1.19 -5.79 -0.76
H 2.35 -4.22 -2.20
H 2.50 -1.98 -3.25
H 0.70 -0.33 -2.92
O 1.20 6.11 0.24
C 1.25 5.80 -0.95
O 1.65 6.34 -1.97
C 0.67 4.35 -1.17
C 1.53 3.26 -1.19
C 0.99 1.99 -1.25
N -0.33 1.78 -1.23
C -1.15 2.83 -1.23
C -0.69 4.14 -1.22
C -2.66 2.52 -1.13
O -3.46 3.38 -1.45
O -2.92 1.37 -0.67
H 2.60 3.40 -1.17
H 1.61 1.11 -1.28
H -1.40 4.95 -1.23
C -4.09 1.46 2.37
C -2.72 1.00 2.74
C -2.12 1.56 4.01
O -2.11 0.17 2.08
H -4.82 1.04 3.06
H -4.32 1.14 1.36
H -4.14 2.55 2.44
H -2.63 2.45 4.33
H -1.06 1.76 3.85
H -2.18 0.80 4.79
Te 0.51 -0.39 1.62
C 2.49 -0.80 0.98
C 3.50 0.05 0.65
C 4.72 -0.60 0.36
C 4.63 -1.95 0.47
S 3.05 -2.44 0.94
H 3.40 1.12 0.63
H 5.62 -0.07 0.07
H 5.40 -2.69 0.33
```



Density functional theory data (ωB97M-V with the def2-TZVPD basis set) for a structure of composition C42H92As3F18N4 in a non-equilibrium geometry.
└──

• Brief:
The reader should copy the block further up word for word.

• Completed:
Computed, not measured: a molecular structure, C31H40AsAuN2O2PSSi, with ωB97M-V with the def2-TZVPD basis set.

Calculated values
- F_max: 0.471 eV/Å
- Relative energy (zero: lowest compared OMol25 entry of this formula, charge and spin): 28.4 kcal per mole
- Kohn-Sham gap: 6.06 eV
- DFT total energy: -4865.61918 hartree

Geometry as ORCA input:
```
! wB97M-V def2-TZVPD RIJCOSX def2/J DEFGRID3
* xyz 1 1
Au 0.327 0.652 0.299
O 4.693 -0.282 -1.550
C 3.599 -0.648 -1.192
O 2.435 -0.161 -1.559
C 3.248 -1.734 -0.187
P 1.444 -1.416 -0.206
C 1.006 -2.219 1.398
C 1.411 -1.508 2.531
C 1.249 -2.024 3.804
C 0.663 -3.271 3.970
C 0.267 -3.994 2.858
C 0.448 -3.481 1.579
C 0.744 -2.414 -1.541
C 1.463 -2.590 -2.726
C 0.987 -3.437 -3.713
C -0.207 -4.121 -3.532
C -0.932 -3.940 -2.365
C -0.469 -3.082 -1.378
H 3.721 -1.635 0.787
H 3.446 -2.745 -0.548
H 1.851 -0.521 2.423
H 1.571 -1.452 4.665
H 0.522 -3.678 4.963
H -0.183 -4.971 2.979
H 0.163 -4.091 0.735
H 2.387 -2.060 -2.898
H 1.555 -3.563 -4.625
H -0.571 -4.791 -4.299
H -1.866 -4.468 -2.223
H -1.059 -2.924 -0.488
S -0.998 2.589 1.163
C -0.774 3.864 0.059
N -1.228 5.090 0.427
C -1.158 6.204 -0.341
C -0.591 6.145 -1.575
C -0.107 4.902 -2.018
C -0.201 3.786 -1.227
H -1.653 5.156 1.344
H -1.574 7.102 0.091
H -0.532 7.030 -2.189
H 0.334 4.819 -3.003
H 0.138 2.823 -1.581
C -1.115 0.235 -2.755
Si -2.346 -0.071 -1.364
C -3.546 -1.389 -1.938
C -3.448 1.431 -1.137
N -1.434 -0.399 0.112
C -1.982 -0.933 1.282
C -1.585 -0.498 2.555
C -2.132 -1.036 3.708
C -3.104 -2.022 3.638
C -3.502 -2.473 2.389
C -2.945 -1.953 1.231
H -1.526 0.982 -3.442
H -0.950 -0.680 -3.328
H -0.123 0.578 -2.444
H -3.810 -1.146 -2.973
H -4.467 -1.364 -1.353
H -3.157 -2.403 -1.934
H -4.151 1.518 -1.970
H -2.893 2.364 -1.076
H -4.030 1.330 -0.217
H -0.818 0.263 2.649
H -1.794 -0.675 4.672
H -3.535 -2.437 4.539
H -4.249 -3.254 2.307
H -3.257 -2.349 0.276
C 2.207 3.646 1.483
As 2.376 2.027 0.424
C 3.130 2.763 -1.199
C 3.842 1.215 1.399
H 3.212 4.038 1.639
H 1.741 3.428 2.441
H 1.618 4.391 0.952
H 2.724 3.764 -1.337
H 2.907 2.122 -2.044
H 4.209 2.817 -1.068
H 3.734 1.494 2.446
H 4.786 1.595 1.013
H 3.843 0.136 1.316
*
```

* * * * *

Density functional theory data (ωB97M-V with the def2-TZVPD basis set) for a structure of composition C24H18BrNO5RhSTe in a non-equilibrium geometry.

For the LUMO energy (spin up / spin down), the calculation gives 0.80 / 1.20 eV. The HOMO-LUMO gap (spin up / spin down) is 5.815 / 6.208 eV. The calculation puts the energy at -128087.485 eV. For the energy above the lowest of the compared OMol25 structures with the same formula, charge and spin, the calculation gives 56.2 kcal/mol. Its net charge is -1.

XYZ file:
```
52
C24H18BrNO5RhSTe | the OMol25 dataset | ωB97M-V with the def2-TZVPD basis set
Rh -1.30 -0.12 -0.33
Br -3.17 -2.05 -0.10
C -1.72 -3.31 -0.37
C -1.83 -4.56 0.18
C -0.76 -5.45 0.05
C 0.35 -5.11 -0.66
C 0.45 -3.84 -1.28
C 1.57 -3.48 -2.05
C 1.65 -2.24 -2.63
C 0.64 -1.30 -2.42
C -0.46 -1.57 -1.62
C -0.58 -2.88 -1.09
H -2.72 -4.84 0.72
H -0.84 -6.42 0.52
H 1.19 -5.79 -0.76
H 2.35 -4.22 -2.20
H 2.50 -1.98 -3.25
H 0.70 -0.33 -2.92
O 1.20 6.11 0.24
C 1.25 5.80 -0.95
O 1.65 6.34 -1.97
C 0.67 4.35 -1.17
C 1.53 3.26 -1.19
C 0.99 1.99 -1.25
N -0.33 1.78 -1.23
C -1.15 2.83 -1.23
C -0.69 4.14 -1.22
C -2.66 2.52 -1.13
O -3.46 3.38 -1.45
O -2.92 1.37 -0.67
H 2.60 3.40 -1.17
H 1.61 1.11 -1.28
H -1.40 4.95 -1.23
C -4.09 1.46 2.37
C -2.72 1.00 2.74
C -2.12 1.56 4.01
O -2.11 0.17 2.08
H -4.82 1.04 3.06
H -4.32 1.14 1.36
H -4.14 2.55 2.44
H -2.63 2.45 4.33
H -1.06 1.76 3.85
H -2.18 0.80 4.79
Te 0.51 -0.39 1.62
C 2.49 -0.80 0.98
C 3.50 0.05 0.65
C 4.72 -0.60 0.36
C 4.63 -1.95 0.47
S 3.05 -2.44 0.94
H 3.40 1.12 0.63
H 5.62 -0.07 0.07
H 5.40 -2.69 0.33
```



Density functional theory data (ωB97M-V with the def2-TZVPD basis set) for a structure of composition C42H92As3F18N4 in a non-equilibrium geometry.